[Wanted]
Next, copy only the last part of the material further down, starting with the line that has "0.32120 -1.548".

[Input]
/*
Computed, not measured: a cluster of 2 separate species, C3H5ClS in total in a non-equilibrium geometry, with ωB97M-V/def2-TZVPD.

Relative energy (zero: lowest compared OMol25 entry of this formula, charge and spin) (kcal per mole): 79.65
Frontier orbital gap (eV): 8.817
Energy (eV): -26545.518

The geometry in XYZ format:
```
10
Properties=species:S:1:pos:R:3:forces:R:3
C -3.47138 -0.75565 1.69173 0.057 1.469 -0.883
C 0.16425 0.12876 0.49410 1.435 1.339 -0.325
C 0.28954 -1.15219 0.27686 -1.470 -2.243 -1.066
S -3.11107 0.53431 0.61915 0.283 -2.126 0.258
Cl 0.83295 -1.68726 -1.36720 -0.163 0.229 1.260
H -4.25553 -0.30235 2.35240 0.393 -0.101 -0.260
H -0.16015 0.61808 1.38435 -0.487 -0.368 0.695
H 0.60125 0.84204 -0.21009 -0.194 -0.331 -0.048
H -2.16637 -0.13985 -0.19229 -1.001 0.806 0.832
H -0.23024 -2.00703 0.81710 1.148 1.325 -0.463
```
Forces are in eV/Å.

Computed, not measured: a cluster of 2 separate species, C7H21N3P in total in a non-equilibrium geometry, with ωB97M-V/def2-TZVPD.

Charge: +1
Relative energy (zero: lowest compared OMol25 entry of this formula, charge and spin) (kcal per mole): 0.00
Frontier orbital gap (eV): 7.902
Energy (eV): -21349.426

The geometry in XYZ format:
```
32
Properties=species:S:1:pos:R:3:forces:R:3
C -3.23838 -0.29628 0.61085 2.811 0.614 1.337
C -3.64752 1.24055 -1.14642 -2.191 2.026 -0.082
C 0.38357 -1.46930 -1.16029 -0.912 -0.767 -1.636
C 1.25492 -2.75457 0.76144 2.204 0.052 0.233
C 3.19970 1.78296 0.94336 -2.712 3.162 -0.210
C 3.58877 -0.12792 -0.36930 0.446 0.548 -0.465
C 0.00847 1.25491 0.12623 -0.250 1.193 1.569
N -2.96747 1.06225 0.11163 0.528 -3.071 -2.870
N 0.87504 -1.44921 0.16575 0.964 -0.340 1.261
N 2.77750 0.62568 0.24427 -0.881 -2.180 0.231
P 1.02247 -0.06810 1.06176 -0.142 1.071 -1.756
H -3.21933 -0.20976 1.74385 0.232 -0.696 -1.339
H -4.18481 -0.63139 0.32120 -1.548 -0.689 -0.434
H -2.43020 -1.01744 0.18335 -1.315 0.967 0.987
H -3.48155 0.35264 -1.68531 0.059 -0.933 -1.111
H -4.77126 1.43985 -1.08886 0.952 -0.903 0.427
H -3.42180 2.12278 -1.76143 1.049 -0.234 0.343
H -0.11604 -2.44037 -1.45187 0.823 0.883 0.475
H -0.39082 -0.73426 -1.19696 -0.572 0.461 -0.534
H 1.15268 -1.19590 -1.89674 -0.197 -0.273 -0.027
H 1.68446 -3.52299 0.05477 -1.221 0.970 0.169
H 2.12698 -2.70737 1.46905 -0.842 0.637 -0.348
H 0.41589 -3.05298 1.33068 -0.755 -1.149 0.356
H 2.36743 1.91227 1.77018 1.967 0.411 -1.447
H 4.13236 1.59163 1.37500 1.427 0.130 0.809
H 3.23710 2.71922 0.21703 -0.177 -1.858 1.693
H 3.23911 -1.10863 -0.75600 0.413 0.775 0.233
H 4.62207 0.29039 -0.52195 -0.872 -0.943 -0.027
H -3.16037 1.70257 0.76733 -1.085 2.893 2.699
H 0.15716 1.37820 -0.94072 1.278 0.506 -0.064
H -0.17125 2.28037 0.73627 1.214 -2.320 -1.419
H -1.04486 1.03023 -0.01819 -0.697 -0.943 0.947
```
Forces are in eV/Å.

Computed, not measured: the molecule C17H22NPS in a non-equilibrium geometry, with ωB97M-V/def2-TZVPD.

SMILES: CN(C)CCCP(=S)(c1ccccc1)c1ccccc1
Frontier orbital gap (eV): 8.438
Energy (eV): -39600.208

The geometry in XYZ format:
```
42
Properties=species:S:1:pos:R:3:forces:R:3
S -1.63363 -0.47185 -1.92973 -0.083 -0.051 0.453
C 1.87486 -3.31918 1.52777 0.027 0.097 -0.770
C -5.01005 -0.11073 2.56017 0.399 0.722 0.265
C 1.07522 -2.61779 2.43323 -0.468 0.109 -0.811
C 1.82881 -3.05452 0.14723 -1.079 0.843 0.109
C -4.41692 1.11620 2.20715 -0.283 -0.657 -0.412
C -4.39507 -1.28939 2.16615 -0.084 -0.176 -0.275
C 0.14583 -1.69220 1.94609 0.260 0.559 -0.603
C 0.86517 -2.13147 -0.34199 0.402 0.000 0.854
C -3.25994 1.11583 1.40970 -0.177 -0.219 0.884
C -3.23623 -1.28333 1.42359 0.800 0.113 -0.328
C 0.04279 -1.41648 0.54184 0.044 -0.582 1.719
C -2.62452 -0.09053 1.05252 0.070 0.520 -0.034
N 2.57529 1.83387 -2.36758 -0.273 0.999 0.703
C 3.70186 0.98263 -2.01335 -0.281 0.357 -1.329
C 2.62594 2.52891 -3.65564 -0.138 -1.158 0.104
C 1.28621 1.31550 -1.90349 0.380 0.906 0.093
C 1.13152 1.52351 -0.39306 -0.297 1.138 -0.050
C -0.32407 1.46792 0.15230 1.017 -0.502 0.733
P -1.14212 -0.13928 -0.04806 -0.508 -0.201 -1.300
*/

[Reply]
H -4.18481 -0.63139 0.32120 -1.548 -0.689 -0.434
H -2.43020 -1.01744 0.18335 -1.315 0.967 0.987
H -3.48155 0.35264 -1.68531 0.059 -0.933 -1.111
H -4.77126 1.43985 -1.08886 0.952 -0.903 0.427
H -3.42180 2.12278 -1.76143 1.049 -0.234 0.343
H -0.11604 -2.44037 -1.45187 0.823 0.883 0.475
H -0.39082 -0.73426 -1.19696 -0.572 0.461 -0.534
H 1.15268 -1.19590 -1.89674 -0.197 -0.273 -0.027
H 1.68446 -3.52299 0.05477 -1.221 0.970 0.169
H 2.12698 -2.70737 1.46905 -0.842 0.637 -0.348
H 0.41589 -3.05298 1.33068 -0.755 -1.149 0.356
H 2.36743 1.91227 1.77018 1.967 0.411 -1.447
H 4.13236 1.59163 1.37500 1.427 0.130 0.809
H 3.23710 2.71922 0.21703 -0.177 -1.858 1.693
H 3.23911 -1.10863 -0.75600 0.413 0.775 0.233
H 4.62207 0.29039 -0.52195 -0.872 -0.943 -0.027
H -3.16037 1.70257 0.76733 -1.085 2.893 2.699
H 0.15716 1.37820 -0.94072 1.278 0.506 -0.064
H -0.17125 2.28037 0.73627 1.214 -2.320 -1.419
H -1.04486 1.03023 -0.01819 -0.697 -0.943 0.947
```
Forces are in eV/Å.

Computed, not measured: the molecule C17H22NPS in a non-equilibrium geometry, with ωB97M-V/def2-TZVPD.

SMILES: CN(C)CCCP(=S)(c1ccccc1)c1ccccc1
Frontier orbital gap (eV): 8.438
Energy (eV): -39600.208

The geometry in XYZ format:
```
42
Properties=species:S:1:pos:R:3:forces:R:3
S -1.63363 -0.47185 -1.92973 -0.083 -0.051 0.453
C 1.87486 -3.31918 1.52777 0.027 0.097 -0.770
C -5.01005 -0.11073 2.56017 0.399 0.722 0.265
C 1.07522 -2.61779 2.43323 -0.468 0.109 -0.811
C 1.82881 -3.05452 0.14723 -1.079 0.843 0.109
C -4.41692 1.11620 2.20715 -0.283 -0.657 -0.412
C -4.39507 -1.28939 2.16615 -0.084 -0.176 -0.275
C 0.14583 -1.69220 1.94609 0.260 0.559 -0.603
C 0.86517 -2.13147 -0.34199 0.402 0.000 0.854
C -3.25994 1.11583 1.40970 -0.177 -0.219 0.884
C -3.23623 -1.28333 1.42359 0.800 0.113 -0.328
C 0.04279 -1.41648 0.54184 0.044 -0.582 1.719
C -2.62452 -0.09053 1.05252 0.070 0.520 -0.034
N 2.57529 1.83387 -2.36758 -0.273 0.999 0.703
C 3.70186 0.98263 -2.01335 -0.281 0.357 -1.329
C 2.62594 2.52891 -3.65564 -0.138 -1.158 0.104
C 1.28621 1.31550 -1.90349 0.380 0.906 0.093
C 1.13152 1.52351 -0.39306 -0.297 1.138 -0.050
C -0.32407 1.46792 0.15230 1.017 -0.502 0.733
P -1.14212 -0.13928 -0.04806 -0.508 -0.201 -1.300